Job:
Now repeat only the lines underneath with the word "C10H24InO2S" in them.

Source:
┌──
No. 1
{
  "formula": "C15H50BF4O16",
  "method": "ωB97M-V/def2-TZVPD",
  "e_lumo_ev": 2.4,
  "total_charge": -1,
  "homo_lumo_gap_ev": 7.82,
  "homo_ha": -0.1999,
  "elements": ["B", "F", "F", "F", "F", "O", "H", "H", "O", "H", "H", "O", "H", "H", "C", "C", "O", "O", "H", "H", "H", "H", "H", "H", "C", "C", "O", "O", "H", "H", "H", "H", "H", "H", "C", "C", "O", "O", "H", "H", "H", "H", "H", "H", "C", "C", "O", "O", "H", "H", "H", "H", "H", "H", "C", "C", "O", "O", "H", "H", "H", "H", "H", "H", "C", "C", "O", "O", "H", "H", "H", "H", "H", "H", "C", "C", "C", "O", "H", "H", "H", "H", "H", "H", "H", "H"],
  "coordinates": [[-0.408, -0.025, -0.061], [-1.070, 0.526, -1.061], [0.584, 0.754, 0.541], [-1.348, -0.376, 0.903], [0.190, -1.167, -0.537], [1.521, -2.011, -2.211], [2.242, -2.124, -1.592], [1.394, -1.063, -2.261], [0.566, -0.460, 2.249], [1.210, -0.980, 1.769], [-0.132, -0.297, 1.615], [1.380, 0.009, -1.921], [1.610, 0.819, -2.376], [0.525, 0.188, -1.529], [4.395, -0.868, -1.513], [3.616, -0.041, -0.421], [2.356, -0.688, -0.195], [3.776, -0.452, -2.710], [4.346, -1.949, -1.385], [5.418, -0.492, -1.510], [3.452, 1.032, -0.512], [4.276, -0.173, 0.437], [1.626, -0.315, -0.694], [2.893, -0.819, -2.630], [0.738, -3.500, 0.898], [1.017, -4.637, -0.085], [-0.164, -5.087, -0.685], [-0.259, -3.871, 1.883], [0.469, -2.647, 0.275], [1.649, -3.392, 1.486], [1.583, -5.386, 0.469], [1.596, -4.306, -0.947], [-0.552, -5.404, 0.134], [-0.071, -3.452, 2.726], [-1.476, -1.096, -4.275], [-1.077, -0.519, -2.909], [-1.493, -1.288, -1.755], [-0.539, -2.117, -4.746], [-1.694, -0.252, -4.930], [-2.422, -1.566, -4.007], [-1.522, 0.476, -2.928], [-0.024, -0.255, -2.805], [-1.162, -0.784, -1.008], [-0.829, -2.581, -5.535], [-0.208, 3.135, -2.016], [1.222, 2.577, -2.029], [1.550, 1.875, -3.249], [-1.070, 2.227, -2.631], [-0.272, 4.134, -2.447], [-0.535, 3.279, -0.987], [1.335, 2.061, -1.075], [1.958, 3.365, -1.872], [1.335, 2.397, -4.026], [-1.169, 1.426, -2.111], [2.025, 0.857, 4.478], [0.965, 1.846, 3.900], [1.070, 2.105, 2.489], [1.368, -0.412, 4.388], [2.357, 0.973, 5.510], [2.819, 0.874, 3.731], [1.088, 2.840, 4.332], [-0.056, 1.532, 4.117], [0.780, 1.376, 1.935], [1.069, -0.574, 3.490], [-3.575, -0.133, 0.534], [-4.317, -1.273, 1.063], [-3.455, -2.224, 1.687], [-2.866, -0.277, -0.702], [-2.955, 0.134, 1.389], [-4.271, 0.695, 0.404], [-4.950, -1.681, 0.276], [-4.933, -0.895, 1.879], [-3.051, -1.691, 2.376], [-1.924, -0.279, -0.518], [-1.534, 4.037, 1.518], [-2.008, 2.616, 1.499], [-1.041, 1.634, 2.104], [-3.256, 2.542, 2.101], [-1.213, 4.172, 2.551], [-2.278, 4.760, 1.183], [-0.551, 4.032, 1.048], [-2.153, 2.254, 0.481], [-0.776, 2.007, 3.094], [-0.188, 1.736, 1.433], [-1.413, 0.612, 2.169], [-3.111, 1.964, 2.854]],
  "mulliken_charge": [-0.62, 0.59, -0.57, -1.12, 0.14, -0.70, 0.53, 0.05, -1.24, 0.33, 0.10, -0.58, 0.74, -0.98, -0.71, -0.53, -0.09, -0.68, 0.17, 0.51, 0.31, 0.38, -0.76, 1.15, 0.85, -0.72, -0.52, -0.67, -0.36, 0.41, 0.37, 0.16, 0.38, 0.35, -1.33, 1.46, -0.70, -0.52, 0.38, 0.34, 0.18, 0.09, 0.93, 0.29, -0.36, 0.08, -0.54, -0.84, 0.53, -0.31, -0.55, 0.69, 0.38, 0.45, -0.57, -0.25, -0.64, -0.76, 0.38, 0.16, 0.44, 0.26, 0.74, 0.87, 0.63, -1.05, -0.54, -0.76, -0.31, 0.39, 0.41, 0.37, 0.32, 0.78, -1.87, 0.94, -0.58, -0.66, 0.39, 0.40, 0.34, 0.07, 1.04, -0.69, 0.92, 0.50]
}

No. 2
{
  "formula": "C10H24InO2S",
  "method": "ωB97M-V/def2-TZVPD",
  "e_lumo_ev": 2.9,
  "total_charge": -1,
  "homo_lumo_gap_ev": 7.03,
  "homo_ha": -0.1513,
  "elements": ["C", "C", "C", "O", "In", "C", "C", "C", "C", "O", "C", "S", "C", "C", "H", "H", "H", "H", "H", "H", "H", "H", "H", "H", "H", "H", "H", "H", "H", "H", "H", "H", "H", "H", "H", "H", "H", "H"],
└──

Reply:
  "formula": "C10H24InO2S",